Yad Vashem
Marking Women's History Month, Yad Vashem, the World Holocaust Remembrance Center, is promoting a moving online exhibition entitled The Death March to Volary, depicting the terrible fate of over 1,000 Jewish women who were forced on a horrific death march in the winter of 1945.
"The Death March to Volary" exhibition utilizes the most updated research on the Nazi-enforced marches of concentration and labor camp prisoners over long distances, under unbearable conditions, during which the prisoners were abused by their accompanying guards and often murdered. Testimonies of survivors and US Army veterans are included in the exhibition, as well as documentation from the trials of Death March Commander Alois Dörr and his accomplices, shedding light on this little known chapter of the Holocaust. Of the 1,000 women sent on the Volary Death March, some 350 survived. This remarkable exhibition tells their harrowing story.
The exhibition – available in four languages English, Hebrew, German and Spanish - is currently being featured on Yad Vashem's website. Presented in a groundbreaking multi-media format - it retraces the march day-by-day utilizing many interviews with surviving women as well as written testimony and harrowing pictures.
The death march began on 24 January 1945, when the female Jewish prisoners were evacuated from the Schlesiersee (today Sława) concentration camp in Upper Silesia, western Poland, a region annexed to Germany. The women were forced to march by foot in a southwesterly direction, unaware of their destination, in freezing conditions.
The death march – a total of 106 days of gnawing hunger and sickness, humiliation and murder – concluded over 800 km later on 5 May 1945, in the town of Volary (German: Wallern) in Czechoslovakia, not far from the border with Germany and Austria. There, they were liberated by the US Army.
74 Years Ago today…
On 6 March, 621 of the original 1,300 prisoners arrived at Helmbrechts, a concentration camp for women in Bavaria, some 16 km southwest of the city of Hof. The camp, established in the summer of 1944, was comprised of some 600 non-Jewish forced laborers, mostly Slavs (from Poland, Russia and the Baltic states), as well as some French and German women. The inmates of the camp primarily worked in the munitions factory in the local town.
Materials data from another source follow:
<<<
Compound: CeSe2O8
Source: the Materials Project
Functional: PBE-GGA
Structure: optimized geometry

```
CeSe2O8
1.0
-4.9931 7.7504 -1.8837
0.9588 -1.7545 -9.7603
-11.8577 -7.5906 0.1996
Ce Se O
8 16 64
Cartesian
-10.5931 0.6558 -5.8771
-11.5249 -5.5847 -5.5796
-7.3851 0.8738 -10.6861
-2.2809 0.8655 -0.7461
-5.2989 -2.2506 -5.5674
-4.3671 3.9899 -5.8648
-8.5068 -2.4686 -0.7584
-13.6111 -2.4603 -10.6983
-11.0672 0.1382 -2.1954
-10.0832 -6.5690 -8.8963
-7.5964 2.6457 -7.3901
-3.0371 0.5955 -4.4070
-4.8248 -1.7330 -9.2490
-5.8088 4.9742 -2.5481
-8.2955 -4.2405 -4.0543
-12.8548 -2.1903 -7.0374
-7.4654 0.0544 -3.5457
-0.0127 -1.7112 -7.0610
-10.8740 2.1363 -9.3398
-13.4318 -3.6691 -2.9423
-8.4265 -1.6492 -7.8987
-15.8793 0.1164 -4.3834
-5.0179 -3.7311 -2.1046
-2.4602 2.0743 -8.5021
-10.0651 1.4719 -2.0465
-11.6550 -7.0182 -9.2601
-8.6533 1.4121 -6.9820
-1.4105 0.9446 -4.6002
-5.8268 -3.0667 -9.3979
-4.2369 5.4234 -2.1843
-7.2387 -3.0069 -4.4624
-14.4815 -2.5394 -6.8442
-11.5015 0.0000 -3.8039
-10.1144 -5.7083 -7.4634
-6.8622 2.2350 -8.8348
-3.3058 0.2837 -2.7867
-4.3905 -1.5948 -7.6406
-5.7776 4.1135 -3.9810
-9.0297 -3.8298 -2.6096
-12.5861 -1.8785 -8.6577
-12.4639 -0.8282 -6.1655
-9.4717 -4.3837 -5.2224
-6.4031 3.9841 -1.3503
-3.4453 -1.9618 -10.1507
-3.4281 -0.7666 -5.2789
-7.4616 -5.6833 -3.9277
-6.4203 2.7889 -6.2221
-12.4467 0.3670 -1.2937
-13.5776 -4.3694 -9.2587
-6.5469 -3.6536 -1.4460
-4.6067 6.2762 -5.2061
-7.0527 -1.4428 -6.9781
-2.3143 2.7746 -2.1857
-9.3450 2.0588 -9.9984
-11.2853 -7.8710 -6.2383
-8.8393 -0.1520 -4.4664
-9.7710 -1.3021 -6.9679
-10.4045 -6.6420 -3.7560
-8.8787 4.0605 -2.7593
-2.7297 0.6940 -9.4057
-6.1209 -0.2927 -4.4765
-5.4875 5.0472 -7.6885
-7.0132 -5.6553 -8.6851
-13.1622 -2.2888 -2.0387
-8.3610 -0.5829 -9.1984
-12.1229 -6.8823 -1.6419
-9.8664 2.5685 -4.8278
-1.4336 1.7071 -7.2208
-7.5309 -1.0119 -2.2461
-3.7690 5.2875 -9.8025
-6.0255 -4.1633 -6.6166
-14.4584 -3.3019 -4.2236
-11.1968 0.9209 -8.2499
-11.9969 -4.1799 -3.6127
-7.3129 1.5813 -2.9021
-1.2772 -1.5119 -8.1242
-4.6951 -2.5157 -3.1945
-3.8950 2.5851 -7.8317
-8.5790 -3.1761 -8.5423
-14.6147 -0.0829 -3.3203
-9.1190 -7.9284 -8.7719
-10.2738 -1.2305 -1.6567
-3.9608 1.8809 -4.9435
-8.4303 4.0885 -7.5167
-6.7730 6.3336 -2.6725
-5.6182 -0.3643 -9.7877
-11.9312 -3.4757 -6.5009
-9.4889 -5.5789 -10.0942
```

Results
Calculated formation energy ... -1.843 eV/atom
SG ... Pbca, No. 61

~~~~~

5
Lattice="4.010 0.000 0.000 -2.005 3.473 0.000 0.000 0.000 4.883" Properties=species:S:1:pos:R:3 comment="Fe3Ge2 | Materials Project | PBE | optimized geometry" volume_a3_per_cell=68 formation_energy_ev_per_atom=0.012 pbc="T T T"
Fe 0.000 0.000 0.000
Fe 0.000 2.315 0.809
Fe 2.005 1.158 4.075
Ge 0.000 2.315 3.255
Ge 2.005 1.158 1.628

~~~~~

(1)
Below is crystalline Sc4Si7Ni12 at its relaxed geometry, with properties calculated at the PBE level.

- VASP energy: -6.4898 eV/atom
- Symmetry: Immm, No. 71
- Calculated formation energy: -721.6 meV per atom
- M_tot: 0.001 μB/f.u.
>>>
Upon their arrival at Helmbrechts, Karl Herman Jäschke, the commander of the Death March, left his prisoners to the mercies of the commander, SS Unterscharführer Alois Dörr, and his staff. Upon arrival, out of fear of the spread of disease, their clothing was confiscated for fumigation. The women were forced to stand naked for hours, until their damp clothes were returned to them.
The survivors of the death march would later describe their experiences in the Helmbrechts as 'hell on earth – the hardest part of the death march.' They were housed in two huts, with neither heating nor even minimal sanitation. Holocaust survivor Eva Abrams recalled how, in her weakened state, she ended up in a Krankenrevier (sick bay).
"I remember waking up every morning in the – I cannot call it a hospital – place where they just kept sick people who were ready to die, and finding dead bodies around me."
She further described the 'soup' they were given to eat: "Whoever was in charge took out the potatoes and just gave us the water." Forty-four of the Jewish prisoners from the Death March died in Helmbrechts. These women were later buried in a mass grave in the Jewish cemetery in the nearby city of Hof.
As the Allied forces approached, Helmbrechts was evacuated by the Germans. On the afternoon of 13 April, 577 Jewish prisoners and 590 non-Jewish prisoners left Helmbrechts together – and three weeks later, the survivors arrived at Volary.
The online exhibition also features testimony of one of the liberating American servicemen Major Aaron S. Cahan, a Jewish medical officer, who describes how they found the survivors of the death march.
"My first glance at these individuals was one of extreme shock, not ever believing that a human being can be degraded, can be starved, can be so skinny and even live under such circumstances. When I entered the room I thought that we had a group of old men lying… I was surprised and shocked when I asked one of these girls how old she was and she said seventeen, when to me she appeared to be no less than fifty."
Accompanied by some of the survivors, the Americans retraced the steps of the women, as far as was possible within the time constraints, and buried the women who had died along the way. They buried 95 victims in a special cemetery that the residents of Volary have tended to this day.